+++
No. 1
# Cs10Si7O9 | the Materials Project database | GGA-PBE | relaxed
data_Cs10Si7O9
_chemical_formula_sum 'Cs40 Si28 O36'
_cell_length_a 15.2212
_cell_length_b 8.3066
_cell_length_c 23.9113
_cell_angle_alpha 90.00
_cell_angle_beta 93.74
_cell_angle_gamma 90.00
_space_group_name_H-M_alt 'P 1 2/c 1'
_space_group_IT_number 13
_space_group_name_Hall '-P 2yc'
loop_
_atom_site_label
_atom_site_fract_x
_atom_site_fract_y
_atom_site_fract_z
Cs1 0.0178 0.0032 0.4071
Cs2 0.0970 0.4734 0.8463
Cs3 0.1229 0.3629 0.5383
Cs4 0.1487 0.3674 0.1901
Cs5 0.2224 0.0382 0.3202
Cs6 0.2833 0.0377 0.6586
Cs7 0.3454 0.3820 0.7977
Cs8 0.3790 0.3757 0.4559
Cs9 0.4104 0.4585 0.1496
Cs10 0.4684 0.0412 0.9060
Si1 0.0000 0.0986 0.2500
Si2 0.0853 0.2270 0.7159
Si3 0.1776 0.2146 0.0319
Si4 0.2460 0.2424 0.9426
Si5 0.2527 0.0133 0.4923
Si6 0.3386 0.2173 0.0280
Si7 0.4095 0.2170 0.2775
Si8 0.5000 0.1091 0.7500
O1 0.0000 0.3021 0.7500
O2 0.0495 0.2022 0.3001
O3 0.0731 0.2817 0.6506
O4 0.0739 0.0249 0.7213
O5 0.1766 0.2836 0.7486
O6 0.3235 0.2711 0.2384
O7 0.4094 0.2721 0.3426
O8 0.4217 0.0150 0.2736
O9 0.4578 0.2125 0.6973
O10 0.5000 0.2939 0.2500
# ρ in g/cm³: 3.68
# Energy of formation from the pure elements in eV/atom: -1.83
# Crystal system: monoclinic

---

No. 2
# HfCuO4F6 | the Materials Project database | GGA-PBE | relaxed
data_HfCuO4F6
_chemical_formula_sum 'Hf2 Cu2 O8 F12'
_cell_length_a 5.4084
_cell_length_b 8.8430
_cell_length_c 7.2053
_cell_angle_alpha 90.00
_cell_angle_beta 96.09
_cell_angle_gamma 90.00
_space_group_name_H-M_alt 'P 1 21/c 1'
_space_group_IT_number 14
_space_group_name_Hall '-P 2ybc'
loop_
_atom_site_label
_atom_site_fract_x
_atom_site_fract_y
_atom_site_fract_z
Hf1 0.0000 0.0000 0.0000
Cu1 0.5000 0.0000 0.5000
O1 0.2617 0.1186 0.5765
O2 0.3783 0.6617 0.1097
F1 0.1730 0.6518 0.3531
F2 0.2252 0.5404 0.7301
F3 0.2449 0.1584 0.9282
# ρ in g/cm³: 4.07
# Energy of formation from the pure elements in eV/atom: -1.60
# Crystal system: monoclinic

---

No. 3
# CePmMg2 | the Materials Project database | GGA-PBE | relaxed
data_CePmMg2
_chemical_formula_sum 'Ce4 Pm4 Mg8'
_cell_length_a 7.7462
_cell_length_b 7.7462
_cell_length_c 7.7462
_cell_angle_alpha 90.00
_cell_angle_beta 90.00
_cell_angle_gamma 90.00
_space_group_name_H-M_alt 'F m -3 m'
_space_group_IT_number 225
_space_group_name_Hall '-F 4 2 3'
loop_
_atom_site_label
_atom_site_fract_x
_atom_site_fract_y
_atom_site_fract_z
Ce1 0.0000 0.0000 0.0000
Pm1 0.0000 0.0000 0.5000
Mg1 0.2500 0.2500 0.2500
# ρ in g/cm³: 4.77
# Energy of formation from the pure elements in eV/atom: -0.01
# Crystal system: cubic

---

No. 4
# Ti4Si2O17 | the Materials Project database | GGA-PBE | relaxed
data_Ti4Si2O17
_chemical_formula_sum 'Ti16 Si8 O68'
_cell_length_a 11.1655
_cell_length_b 11.1655
_cell_length_c 12.2068
_cell_angle_alpha 90.00
_cell_angle_beta 90.00
_cell_angle_gamma 90.00
_space_group_name_H-M_alt 'P -4 21 c'
_space_group_IT_number 114
_space_group_name_Hall 'P -4 2n'
loop_
_atom_site_label
_atom_site_fract_x
_atom_site_fract_y
_atom_site_fract_z
Ti1 0.0177 0.1543 0.1008
Ti2 0.0180 0.1539 0.3990
Si1 0.2203 0.7212 0.9998
O1 0.0000 0.5000 0.3324
O2 0.0092 0.1426 0.2501
O3 0.0138 0.1010 0.5720
O4 0.0137 0.1011 0.9282
O5 0.0513 0.2806 0.7522
O6 0.0954 0.7286 0.4307
O7 0.0956 0.7295 0.0692
O8 0.1642 0.2287 0.0832
O9 0.1645 0.2287 0.4169
# ρ in g/cm³: 2.27
# Energy of formation from the pure elements in eV/atom: -2.22
# Crystal system: tetragonal

~~~~~

# 1
# AsCl2F3

AsCl2F3 after structural relaxation (r²SCAN, the Materials Project database).

Mass density   2.9 g/cm³
M_tot   0.00 μB per formula unit
Energy relative to the elements   -1580 meV per atom

a = 8.6519 Å, b = 8.6519 Å, c = 6.2106 Å
α = 90.00°, β = 90.00°, γ = 90.00°
Last column: nearest neighbours and their distance in Å.
Space group P4/n (No. 85, origin choice 2)
Unique sites:
1 As 0.2500 0.2500 0.1761  6 F 1.73-1.75
2 As 0.2500 0.7500 0.5000  4 Cl 2.07
3 Cl 0.0599 0.7131 0.3044  1 As 2.07
4 F 0.0595 0.3177 0.1737  1 As 1.75
+++

What is needed: type out all of the entries above unchanged.

No. 1
# Cs10Si7O9 | the Materials Project database | GGA-PBE | relaxed
data_Cs10Si7O9
_chemical_formula_sum 'Cs40 Si28 O36'
_cell_length_a 15.2212
_cell_length_b 8.3066
_cell_length_c 23.9113
_cell_angle_alpha 90.00
_cell_angle_beta 93.74
_cell_angle_gamma 90.00
_space_group_name_H-M_alt 'P 1 2/c 1'
_space_group_IT_number 13
_space_group_name_Hall '-P 2yc'
loop_
_atom_site_label
_atom_site_fract_x
_atom_site_fract_y
_atom_site_fract_z
Cs1 0.0178 0.0032 0.4071
Cs2 0.0970 0.4734 0.8463
Cs3 0.1229 0.3629 0.5383
Cs4 0.1487 0.3674 0.1901
Cs5 0.2224 0.0382 0.3202
Cs6 0.2833 0.0377 0.6586
Cs7 0.3454 0.3820 0.7977
Cs8 0.3790 0.3757 0.4559
Cs9 0.4104 0.4585 0.1496
Cs10 0.4684 0.0412 0.9060
Si1 0.0000 0.0986 0.2500
Si2 0.0853 0.2270 0.7159
Si3 0.1776 0.2146 0.0319
Si4 0.2460 0.2424 0.9426
Si5 0.2527 0.0133 0.4923
Si6 0.3386 0.2173 0.0280
Si7 0.4095 0.2170 0.2775
Si8 0.5000 0.1091 0.7500
O1 0.0000 0.3021 0.7500
O2 0.0495 0.2022 0.3001
O3 0.0731 0.2817 0.6506
O4 0.0739 0.0249 0.7213
O5 0.1766 0.2836 0.7486
O6 0.3235 0.2711 0.2384
O7 0.4094 0.2721 0.3426
O8 0.4217 0.0150 0.2736
O9 0.4578 0.2125 0.6973
O10 0.5000 0.2939 0.2500
# ρ in g/cm³: 3.68
# Energy of formation from the pure elements in eV/atom: -1.83
# Crystal system: monoclinic

---

No. 2
# HfCuO4F6 | the Materials Project database | GGA-PBE | relaxed
data_HfCuO4F6
_chemical_formula_sum 'Hf2 Cu2 O8 F12'
_cell_length_a 5.4084
_cell_length_b 8.8430
_cell_length_c 7.2053
_cell_angle_alpha 90.00
_cell_angle_beta 96.09
_cell_angle_gamma 90.00
_space_group_name_H-M_alt 'P 1 21/c 1'
_space_group_IT_number 14
_space_group_name_Hall '-P 2ybc'
loop_
_atom_site_label
_atom_site_fract_x
_atom_site_fract_y
_atom_site_fract_z
Hf1 0.0000 0.0000 0.0000
Cu1 0.5000 0.0000 0.5000
O1 0.2617 0.1186 0.5765
O2 0.3783 0.6617 0.1097
F1 0.1730 0.6518 0.3531
F2 0.2252 0.5404 0.7301
F3 0.2449 0.1584 0.9282
# ρ in g/cm³: 4.07
# Energy of formation from the pure elements in eV/atom: -1.60
# Crystal system: monoclinic

---

No. 3
# CePmMg2 | the Materials Project database | GGA-PBE | relaxed
data_CePmMg2
_chemical_formula_sum 'Ce4 Pm4 Mg8'
_cell_length_a 7.7462
_cell_length_b 7.7462
_cell_length_c 7.7462
_cell_angle_alpha 90.00
_cell_angle_beta 90.00
_cell_angle_gamma 90.00
_space_group_name_H-M_alt 'F m -3 m'
_space_group_IT_number 225
_space_group_name_Hall '-F 4 2 3'
loop_
_atom_site_label
_atom_site_fract_x
_atom_site_fract_y
_atom_site_fract_z
Ce1 0.0000 0.0000 0.0000
Pm1 0.0000 0.0000 0.5000
Mg1 0.2500 0.2500 0.2500
# ρ in g/cm³: 4.77
# Energy of formation from the pure elements in eV/atom: -0.01
# Crystal system: cubic

---

No. 4
# Ti4Si2O17 | the Materials Project database | GGA-PBE | relaxed
data_Ti4Si2O17
_chemical_formula_sum 'Ti16 Si8 O68'
_cell_length_a 11.1655
_cell_length_b 11.1655
_cell_length_c 12.2068
_cell_angle_alpha 90.00
_cell_angle_beta 90.00
_cell_angle_gamma 90.00
_space_group_name_H-M_alt 'P -4 21 c'
_space_group_IT_number 114
_space_group_name_Hall 'P -4 2n'
loop_
_atom_site_label
_atom_site_fract_x
_atom_site_fract_y
_atom_site_fract_z
Ti1 0.0177 0.1543 0.1008
Ti2 0.0180 0.1539 0.3990
Si1 0.2203 0.7212 0.9998
O1 0.0000 0.5000 0.3324
O2 0.0092 0.1426 0.2501
O3 0.0138 0.1010 0.5720
O4 0.0137 0.1011 0.9282
O5 0.0513 0.2806 0.7522
O6 0.0954 0.7286 0.4307
O7 0.0956 0.7295 0.0692
O8 0.1642 0.2287 0.0832
O9 0.1645 0.2287 0.4169
# ρ in g/cm³: 2.27
# Energy of formation from the pure elements in eV/atom: -2.22
# Crystal system: tetragonal

~~~~~

# 1
# AsCl2F3

AsCl2F3 after structural relaxation (r²SCAN, the Materials Project database).

Mass density   2.9 g/cm³
M_tot   0.00 μB per formula unit
Energy relative to the elements   -1580 meV per atom

a = 8.6519 Å, b = 8.6519 Å, c = 6.2106 Å
α = 90.00°, β = 90.00°, γ = 90.00°
Last column: nearest neighbours and their distance in Å.
Space group P4/n (No. 85, origin choice 2)
Unique sites:
1 As 0.2500 0.2500 0.1761  6 F 1.73-1.75
2 As 0.2500 0.7500 0.5000  4 Cl 2.07
3 Cl 0.0599 0.7131 0.3044  1 As 2.07
4 F 0.0595 0.3177 0.1737  1 As 1.75